_Contents_
********
13
Properties=species:S:1:pos:R:3 method="wB97M-V/def2-TZVPD" total_energy_ev=-18155.4885 e_above_lowest_kj_mol=108.6 charge=-1 e_lumo_ev=3.395 homo_energy_ev=-4.018 multiplicity=1
C 0.286 0.648 2.521
C -0.793 0.249 1.521
S -1.112 1.622 0.331
H 0.748 -0.283 2.901
H -0.231 1.076 3.354
H 0.903 1.367 2.105
H -0.577 -0.659 0.870
H -1.791 -0.070 2.047
H -0.530 0.911 -0.613
O 0.634 -2.536 -2.177
C 0.986 -1.292 -1.998
O 1.289 -0.597 -0.966
H 1.027 -0.860 -3.071


11
Properties=species:S:1:pos:R:3:forces:R:3:lowdin_charge:R:1 method="wB97M-V/def2-TZVPD" e_tot_ha=-795.60203 spin_multiplicity=1 relative_energy_kj_mol=37.8 homo_ev=-11.38 gap_ev=12.08
C -1.115 1.317 -0.207 1.1 -0.3 -1.4 -0.30
C 2.431 0.436 0.254 -1.4 -1.0 3.7 -0.38
O -0.360 2.067 0.273 0.4 0.8 0.0 0.15
O 3.490 0.668 -0.137 3.0 1.4 -1.2 0.15
O -0.713 0.378 -1.291 0.3 1.1 1.1 -0.16
O -0.513 -0.640 0.956 0.7 -0.6 0.0 -0.28
O 1.664 -0.395 -0.512 -2.2 -0.8 -0.6 -0.11
P 0.074 -0.685 -0.396 -0.2 1.1 1.2 0.57
H -2.115 1.137 0.017 -1.9 0.0 0.3 0.13
H 2.149 0.631 1.383 -0.4 -0.2 -2.3 0.19
H -0.232 -1.766 -1.114 0.6 -1.5 -0.8 0.06


{
  "formula": "BrCl3P2",
  "method": "the ωB97M-V functional and the def2-TZVPD basis",
  "elements": ["P", "P", "Cl", "Cl", "Cl", "Br"],
  "coordinates": [[0.13199, 0.89719, 0.93612], [-1.48087, -0.53952, 0.33158], [0.17270, 2.09164, -0.66891], [1.83266, -0.05023, 0.81502], [-1.21775, -1.89896, 1.63087], [0.56127, -0.50013, -3.04469]],
  "forces_ev_per_angstrom": [[-1.4, 0.5, 0.2], [0.5, 2.2, -2.6], [-0.2, 0.2, -0.1], [1.2, -0.9, 0.0], [0.5, -1.8, 1.6], [-0.6, -0.1, 1.0]],
  "relative_energy_kj_mol": 346.8,
  "e_homo_ev": [-8.54, -8.53]
}


The following is a quantum chemistry calculation of 2 unconnected molecules or ions with the total composition C19H37FNO3 at a distorted geometry, from the Open Molecules 2025 dataset.

The calculation puts the calculated total energy at -30652.4648 eV. The charge is -1.

Structure (XYZ):
```
61
Properties=species:S:1:pos:R:3:forces:R:3
C 4.543937 -0.530598 1.104268 -0.0887 -0.0286 -0.0934
C 3.353815 -1.370237 1.565440 0.0274 0.0229 -0.1215
C 2.004070 -0.766461 1.133652 -0.0333 0.0386 -0.0174
C 1.241061 -1.559680 0.046241 0.1102 0.1737 0.0712
C -0.100502 -2.182266 0.504462 0.0901 -0.0058 -0.2699
C -1.338328 -1.636634 -0.243414 0.3250 0.2554 0.0591
C -2.010584 -0.500555 0.538909 0.4425 0.0674 0.0371
C -1.243237 0.810607 0.341324 -0.4140 -0.1803 0.1165
C -1.868133 2.004653 1.087984 -0.0266 0.3685 -0.1664
C -0.866287 2.954469 1.769063 0.3893 -1.2162 0.1095
N 0.428616 2.972542 1.176889 -0.0734 1.2459 0.0721
C 0.615947 3.451086 0.004985 -0.1788 -0.5568 -0.2127
C -0.499183 3.986794 -0.853967 0.2736 0.1191 -0.0817
C 2.008446 3.485055 -0.573307 -0.0765 -0.1734 0.1232
C -0.727149 2.604146 3.191933 -0.2368 0.6617 -0.1672
F -0.150800 1.247000 3.426603 -0.1254 -0.2473 0.0930
C 0.124518 3.583251 4.023568 0.0090 -0.1880 0.2439
C 1.457905 3.023826 4.511461 -0.0245 -0.0847 -0.0339
H 4.506648 0.467387 1.545682 0.0342 -0.0286 0.0117
H 5.498214 -0.997721 1.359487 0.0019 0.0466 0.0417
H 4.511543 -0.406395 0.017884 0.0343 0.0191 0.0224
H 3.388461 -1.479640 2.652217 0.0277 -0.0435 -0.0266
H 3.458231 -2.370658 1.131162 -0.0358 -0.0449 0.1635
H 2.177003 0.250186 0.769455 -0.0060 0.0066 0.0693
H 1.359634 -0.636263 2.005221 -0.0057 0.0183 -0.0275
H 1.900748 -2.339016 -0.352216 -0.0252 -0.0012 0.0126
H 1.047316 -0.882110 -0.788782 -0.0564 -0.0679 -0.0158
H -0.053799 -3.268792 0.383054 -0.0061 0.0066 0.0870
H -0.218003 -1.972046 1.570341 -0.0517 -0.1914 0.0075
H -2.030783 -2.436640 -0.515620 -0.0393 -0.0085 0.1572
H -0.963990 -1.198410 -1.176349 -0.2624 -0.2234 -0.1762
H -3.065657 -0.382048 0.272142 0.0210 -0.0114 0.0220
H -1.919821 -0.732562 1.606226 -0.4678 -0.0455 0.0006
H -1.210640 1.002063 -0.737950 0.2725 0.0909 0.0271
H -0.232376 0.657969 0.719397 0.0559 0.0884 -0.1921
H -2.549771 2.526160 0.394754 0.0150 -0.0827 -0.0439
H -2.514237 1.587865 1.871119 -0.0013 0.1311 -0.0011
H -1.086265 3.180900 -1.305095 -0.1475 0.0323 0.0622
********

_Exercise_
It remains to print the material further up from the line with "gap_ev=12.08" to the end verbatim.

_Written answer_
Properties=species:S:1:pos:R:3:forces:R:3:lowdin_charge:R:1 method="wB97M-V/def2-TZVPD" e_tot_ha=-795.60203 spin_multiplicity=1 relative_energy_kj_mol=37.8 homo_ev=-11.38 gap_ev=12.08
C -1.115 1.317 -0.207 1.1 -0.3 -1.4 -0.30
C 2.431 0.436 0.254 -1.4 -1.0 3.7 -0.38
O -0.360 2.067 0.273 0.4 0.8 0.0 0.15
O 3.490 0.668 -0.137 3.0 1.4 -1.2 0.15
O -0.713 0.378 -1.291 0.3 1.1 1.1 -0.16
O -0.513 -0.640 0.956 0.7 -0.6 0.0 -0.28
O 1.664 -0.395 -0.512 -2.2 -0.8 -0.6 -0.11
P 0.074 -0.685 -0.396 -0.2 1.1 1.2 0.57
H -2.115 1.137 0.017 -1.9 0.0 0.3 0.13
H 2.149 0.631 1.383 -0.4 -0.2 -2.3 0.19
H -0.232 -1.766 -1.114 0.6 -1.5 -0.8 0.06


{
  "formula": "BrCl3P2",
  "method": "the ωB97M-V functional and the def2-TZVPD basis",
  "elements": ["P", "P", "Cl", "Cl", "Cl", "Br"],
  "coordinates": [[0.13199, 0.89719, 0.93612], [-1.48087, -0.53952, 0.33158], [0.17270, 2.09164, -0.66891], [1.83266, -0.05023, 0.81502], [-1.21775, -1.89896, 1.63087], [0.56127, -0.50013, -3.04469]],
  "forces_ev_per_angstrom": [[-1.4, 0.5, 0.2], [0.5, 2.2, -2.6], [-0.2, 0.2, -0.1], [1.2, -0.9, 0.0], [0.5, -1.8, 1.6], [-0.6, -0.1, 1.0]],
  "relative_energy_kj_mol": 346.8,
  "e_homo_ev": [-8.54, -8.53]
}


The following is a quantum chemistry calculation of 2 unconnected molecules or ions with the total composition C19H37FNO3 at a distorted geometry, from the Open Molecules 2025 dataset.

The calculation puts the calculated total energy at -30652.4648 eV. The charge is -1.

Structure (XYZ):
```
61
Properties=species:S:1:pos:R:3:forces:R:3
C 4.543937 -0.530598 1.104268 -0.0887 -0.0286 -0.0934
C 3.353815 -1.370237 1.565440 0.0274 0.0229 -0.1215
C 2.004070 -0.766461 1.133652 -0.0333 0.0386 -0.0174
C 1.241061 -1.559680 0.046241 0.1102 0.1737 0.0712
C -0.100502 -2.182266 0.504462 0.0901 -0.0058 -0.2699
C -1.338328 -1.636634 -0.243414 0.3250 0.2554 0.0591
C -2.010584 -0.500555 0.538909 0.4425 0.0674 0.0371
C -1.243237 0.810607 0.341324 -0.4140 -0.1803 0.1165
C -1.868133 2.004653 1.087984 -0.0266 0.3685 -0.1664
C -0.866287 2.954469 1.769063 0.3893 -1.2162 0.1095
N 0.428616 2.972542 1.176889 -0.0734 1.2459 0.0721
C 0.615947 3.451086 0.004985 -0.1788 -0.5568 -0.2127
C -0.499183 3.986794 -0.853967 0.2736 0.1191 -0.0817
C 2.008446 3.485055 -0.573307 -0.0765 -0.1734 0.1232
C -0.727149 2.604146 3.191933 -0.2368 0.6617 -0.1672
F -0.150800 1.247000 3.426603 -0.1254 -0.2473 0.0930
C 0.124518 3.583251 4.023568 0.0090 -0.1880 0.2439
C 1.457905 3.023826 4.511461 -0.0245 -0.0847 -0.0339
H 4.506648 0.467387 1.545682 0.0342 -0.0286 0.0117
H 5.498214 -0.997721 1.359487 0.0019 0.0466 0.0417
H 4.511543 -0.406395 0.017884 0.0343 0.0191 0.0224
H 3.388461 -1.479640 2.652217 0.0277 -0.0435 -0.0266
H 3.458231 -2.370658 1.131162 -0.0358 -0.0449 0.1635
H 2.177003 0.250186 0.769455 -0.0060 0.0066 0.0693
H 1.359634 -0.636263 2.005221 -0.0057 0.0183 -0.0275
H 1.900748 -2.339016 -0.352216 -0.0252 -0.0012 0.0126
H 1.047316 -0.882110 -0.788782 -0.0564 -0.0679 -0.0158
H -0.053799 -3.268792 0.383054 -0.0061 0.0066 0.0870
H -0.218003 -1.972046 1.570341 -0.0517 -0.1914 0.0075
H -2.030783 -2.436640 -0.515620 -0.0393 -0.0085 0.1572
H -0.963990 -1.198410 -1.176349 -0.2624 -0.2234 -0.1762
H -3.065657 -0.382048 0.272142 0.0210 -0.0114 0.0220
H -1.919821 -0.732562 1.606226 -0.4678 -0.0455 0.0006
H -1.210640 1.002063 -0.737950 0.2725 0.0909 0.0271
H -0.232376 0.657969 0.719397 0.0559 0.0884 -0.1921
H -2.549771 2.526160 0.394754 0.0150 -0.0827 -0.0439
H -2.514237 1.587865 1.871119 -0.0013 0.1311 -0.0011
H -1.086265 3.180900 -1.305095 -0.1475 0.0323 0.0622